Among all the beautiful beaches in Salento, Monaco Mirante beach is the most impressive because of its unique and rare beauty. It’s a beach which very few people know, so it’s one of those beautiful, secret beaches which I suggest that you discover as soon as possible – a little piece of California. Monaco Mirante beach is located between Campomarino and San Pietro in Bevagna, a few kilometres north of Porto Cesareo. I’ll show you it in one of my short videos so you can delve into the atmosphere of the area.
You may be asking yourself, “Why is it a little piece of California?”. Actually, I stole the name from my guest who was on vacation in Porto Cesareo last year, I can’t claim the credit! One morning, Oscar stopped by my office in Torre Lapillo Bay to have a coffee with me and said, “Yesterday we were in Little California”. At first I tried to imagine where this exotic place was, then I had to ask: “Where’s that?”. “Monaco Mirante”, just north of San Pietro in Bevagna. We had been to that beach several times and it had never occurred to me to compare that little piece of paradise to the Californian coast, perhaps because I have never been to California.
Inserted here: data records:
____________
A relaxed SiO2 crystal, computed with GGA-PBE.

Properties
- Formation enthalpy at 0 K: -3090.3 meV/atom
- Symmetry: I2_12_12_1
- Total DFT energy (no corrections): -7.74 eV/atom
- Maximum piezoelectric response: 0.1 C/m2

Cell lengths 8.374, 8.374, 8.374 Å; angles 150.61, 147.66, 44.27 degrees
Atoms (fractional coordinates):
Si  0.187  0.437  0.750
Si  0.440  0.690  0.750
Si  0.060  0.810  0.250
Si  0.313  0.063  0.250
O  0.288  0.608  0.155
O  0.212  0.367  0.320
O  0.547  0.892  0.180
O  0.071  0.750  0.821
O  0.750  0.593  0.843
O  0.250  0.907  0.657
O  0.429  0.250  0.679
O  0.953  0.133  0.345

***

A relaxed La4B2N5 crystal, computed with GGA-PBE.

Properties
- Formation enthalpy at 0 K: -1506.7 meV/atom
- Symmetry: C2/m
- Total DFT energy (no corrections): -8.14 eV/atom

Cell lengths 6.582, 6.582, 9.190 Å; angles 52.31, 52.31, 32.51 degrees
Atoms (fractional coordinates):
La  0.812  0.812  0.614
La  0.188  0.188  0.386
La  0.577  0.577  0.155
La  0.423  0.423  0.845
B  0.912  0.912  0.110
B  0.088  0.088  0.890
N  0.883  0.883  0.294
N  0.117  0.117  0.706
N  0.799  0.799  0.101
N  0.201  0.201  0.899
N  0.500  0.500  0.500

***

A relaxed K2P2PdO7 crystal, computed with GGA-PBE.

Properties
- Formation enthalpy at 0 K: -2377.1 meV/atom
- Symmetry: Pnma
- Total DFT energy (no corrections): -6.38 eV/atom

Cell lengths 7.086, 9.555, 11.165 Å; angles 90.00, 90.00, 90.00 degrees
Atoms (fractional coordinates):
K  0.750  0.409  0.467
K  0.750  0.909  0.033
K  0.250  0.591  0.533
K  0.250  0.091  0.967
K  0.250  0.650  0.968
K  0.250  0.150  0.532
K  0.750  0.350  0.032
K  0.750  0.850  0.468
P  0.466  0.366  0.769
P  0.034  0.866  0.731
P  0.966  0.634  0.231
P  0.534  0.134  0.269
P  0.534  0.634  0.231
P  0.966  0.134  0.269
P  0.034  0.366  0.769
P  0.466  0.866  0.731
Pd  0.750  0.613  0.756
Pd  0.750  0.113  0.744
Pd  0.250  0.387  0.244
Pd  0.250  0.887  0.256
O  0.551  0.232  0.828
O  0.949  0.732  0.672
O  0.051  0.768  0.172
O  0.449  0.268  0.328
O  0.449  0.768  0.172
O  0.051  0.268  0.328
O  0.949  0.232  0.828
O  0.551  0.732  0.672
O  0.539  0.498  0.836
O  0.961  0.998  0.664
O  0.039  0.502  0.164
O  0.461  0.002  0.336
O  0.461  0.502  0.164
O  0.039  0.002  0.336
O  0.961  0.498  0.836
O  0.539  0.998  0.664
O  0.469  0.371  0.635
O  0.031  0.871  0.865
O  0.969  0.629  0.365
O  0.531  0.129  0.135
O  0.531  0.629  0.365
O  0.969  0.129  0.135
O  0.031  0.371  0.635
O  0.469  0.871  0.865
O  0.250  0.356  0.821
O  0.250  0.856  0.679
O  0.750  0.644  0.179
O  0.750  0.144  0.321

***

Question: Which value of total DFT energy (no corrections) does entry 1 give?
Answer: -7.74 eV/atom

***

What did the third record say?
A relaxed K2P2PdO7 crystal, computed with GGA-PBE.

Properties
- Formation enthalpy at 0 K: -2377.1 meV/atom
- Symmetry: Pnma
- Total DFT energy (no corrections): -6.38 eV/atom

Cell lengths 7.086, 9.555, 11.165 Å; angles 90.00, 90.00, 90.00 degrees
Atoms (fractional coordinates):
K  0.750  0.409  0.467
____________
End of the data records:
Therefore, I set myself the task of writing a post on the little piece of California in Monaco Mirante and here it is. First of all, I went to Google Street View to see the coast of California – and suddenly it all made sense! The coast between Los Angeles and San Francisco is absolutely magnificent, I want to go there one day. The coastal road passes right by the sea, just like in Monaco Mirante. That comparison aside and with all due caution, Mirante really does seem to be in a different place than everyday Salento. Don’t think of it as being a place of white, powdery beaches like Torre Lapillo or Pesculuse. Here, it’s different, there are several kilometres of sand interspersed with low cliffs. I really mean kilometres. The queens of the coast are the dunes here, in my opinion, these are the best there are. You will not find any as equally impressive and wild anywhere in Salento. The dunes are high, in some places they reach more than 12 or 13 metres, and they are full of Mediterranean scrub with lush vegetation including juniper, thyme and helichrysum. In the cliffs above the sea there is also sea lavender and samphire. The area is part of the Dunes of Campomarino, which stretch for 41 hectares and which originated around 7500 to 3300 years ago. We are talking about millenia! The sea water is always the same colour and crystal clear. Here are three reasons to see Monaco Mirante beach in Salento.
1) The dunes
One reason for visiting the beach is definitely its dunes. It is not easy to see any others so tall and thick. To get to the sea you have to descend the dunes and feel all the scents of the Mediterranean. NB: I do not think that this is a beach for small children, if you have small children in tow it’s better to opt for the flat beaches without rocks, whereas here you will find cliffs and dune slopes which are both sandy and rocky.
2) The coast
Another reason to come here is the coast. I have spoken many times about the beautiful coast which stretches from Otranto to Santa Maria di Leuca and the road which lets you see the sea and the cliffs for tens of kilometres. Well, the coastal road that leads from San Pietro in Bevagna to Campomarino is equally beautiful, albeit for only 5 or 6 kilometres. The road is on the dunes and following it undoubtedly recalls the atmosphere of California or the deserts of Mexico. You always see the sea, the road is about 10 metres above sea level and has several break points for you to go down to the beach below. I like it a lot.
3) The tranquility
These records of crystals were left in the article by mistake:
- - -
Model a:
DFT (PBE-GGA) results for a relaxed Mg5Si9 crystal.

a = 6.890 Å, b = 7.461 Å, c = 12.642 Å
α = 83.83°, β = 77.66°, γ = 60.26°
Positions (direct):
Si 0.211 0.205 0.271
Si 0.151 0.344 0.897
Si 0.020 0.187 0.140
Si 0.519 0.213 0.931
Mg 0.484 0.052 0.722
Si 0.143 0.497 0.723
Si 0.143 0.586 0.427
Si 0.852 0.192 0.330
Mg 0.225 0.904 0.435
Si 0.186 0.807 0.708
Si 0.095 0.911 0.031
Mg 0.035 0.340 0.567
Si 0.583 0.937 0.284
Mg 0.606 0.233 0.129
Mg 0.492 0.594 0.942
Mg 0.736 0.939 0.470
Si 0.100 0.057 0.852
Si 0.744 0.605 0.744
Si 0.762 0.272 0.783
Si 0.901 0.739 0.143
Si 0.546 0.722 0.594
Mg 0.841 0.812 0.890
Mg 0.782 0.565 0.375
Si 0.847 0.511 0.047
Mg 0.418 0.763 0.170
Mg 0.490 0.409 0.535
Si 0.878 0.074 0.622
Si 0.210 0.530 0.239

Calculated volume = 276 Å³/f.u.

Model b:
DFT (PBE-GGA) results for a relaxed Mg5Si9 crystal.

a = 6.646 Å, b = 6.761 Å, c = 13.276 Å
α = 85.92°, β = 102.18°, γ = 113.87°
Positions (direct):
Si 0.827 0.285 0.211
Si 0.170 0.295 0.696
Si 0.989 0.893 0.364
Mg 0.067 0.270 0.884
Si 0.323 0.080 0.302
Mg 0.983 0.568 0.051
Si 0.729 0.869 0.202
Si 0.785 0.421 0.728
Mg 0.236 0.706 0.529
Si 0.773 0.806 0.864
Si 0.903 0.113 0.066
Mg 0.548 0.132 0.872
Mg 0.799 0.715 0.559
Mg 0.748 0.470 0.366
Mg 0.686 0.026 0.410
Si 0.072 0.744 0.809
Si 0.225 0.972 0.674
Si 0.617 0.498 0.138
Si 0.341 0.737 0.236
Si 0.336 0.737 0.959
Si 0.535 0.507 0.954
Si 0.528 0.584 0.704
Si 0.869 0.332 0.569
Mg 0.364 0.062 0.084
Mg 0.657 0.003 0.682
Si 0.242 0.348 0.190
Mg 0.220 0.230 0.494
Si 0.430 0.597 0.402

Calculated volume = 267 Å³/f.u.

Stability, highest: model a

Model a:
DFT (PBE-GGA) results for a relaxed OsN2 crystal.

a = 4.936 Å, b = 4.944 Å, c = 4.976 Å
α = 67.09°, β = 90.00°, γ = 90.00°
Positions (direct):
Os 0.499 0.765 0.725
Os 0.501 0.235 0.275
N 0.097 0.192 0.193
N 0.906 0.321 0.324
Os 0.999 0.235 0.775
N 0.406 0.679 0.176
N 0.094 0.679 0.676
N 0.597 0.808 0.307
Os 0.001 0.765 0.225
N 0.903 0.808 0.807
N 0.594 0.321 0.824
N 0.403 0.192 0.693

Calculated volume = 28 Å³/f.u.

Model b:
DFT (PBE-GGA) results for a relaxed OsN2 crystal.

a = 3.035 Å, b = 3.035 Å, c = 7.433 Å
α = 90.00°, β = 90.00°, γ = 120.00°
Positions (direct):
Os 0.333 0.667 0.750
N 0.000 0.000 0.912
N 0.000 0.000 0.412
Os 0.667 0.333 0.250
N 0.000 0.000 0.088
N 0.000 0.000 0.588

Calculated volume = 30 Å³/f.u.

Stability, highest: model a


Run w
Entry from Materials Project: La4MgFeO8 after structural relaxation (PBE+U).

Results
Total magnetic moment   3.65 μB per formula unit

abc: 5.5897 7.9852 5.0873
angles: 89.89 89.96 110.49
Fractional positions:
1 La 0.1811 0.3622 0.5002
2 La 0.6191 0.2379 0.0003
3 La 0.3809 0.7621 0.9997
4 La 0.8189 0.6379 0.4998
5 Mg 0.0000 0.0000 0.5000
6 Fe 0.5000 0.0000 0.5000
7 O 0.2533 0.9998 0.2404
8 O 0.2533 0.0006 0.7595
9 O 0.7467 0.9994 0.2405
10 O 0.7467 0.0002 0.7596
11 O 0.2009 0.4020 0.0002
12 O 0.6738 0.3470 0.5003
13 O 0.3262 0.6530 0.4997
14 O 0.7991 0.5980 0.9998

Run x
- - -
It’s a quiet beach, little touched by mass tourism, even in August. As for myself, sometimes I go in September and I guarantee you that here it will really be just you and the sea. Do not expect amenities like beach houses, bars or restaurants, there are none. You need to go to Campomarino for all that. I’ll leave you with these photos, they’re worth a thousand words …